-- Job --
Next, set down the contents further below with every line break kept.
-- Excerpt --
____________
Diffraction record for BaSiAg2TeS3. The powder X-ray diffraction pattern is simulated, not measured: it uses a PBE-relaxed structure and Cu Ka.
Lines closer than 0.1° are merged.

Structural model:
a = 6.4219 Å, b = 6.4219 Å, c = 6.4909 Å
α = 114.41°, β = 114.41°, γ = 96.64°
Sites, in units of the cell vectors:
Ba 0.0000 0.0000 0.0000
Si 0.5594 0.5594 0.0700
Ag 0.2776 0.7535 0.5272
Ag 0.7535 0.2776 0.5272
Te 0.1973 0.1973 0.6555
S 0.5021 0.8720 0.0473
S 0.5729 0.5729 0.4109
S 0.8720 0.5021 0.0473

Principal peaks in the range 2θ = 10–90°, by intensity:
2θ/deg	I (rel.)
27.96	100
25.53	24
29.41	22
44.83	21
37.50	21
26.65	20
47.39	19
49.37	18
35.30	17
50.88	16

Diffraction record for LaNdBe2Si2. The powder X-ray diffraction pattern is simulated, not measured: it uses a PBE-relaxed structure and Cu Ka.
Lines closer than 0.1° are merged.

Structural model:
a = 3.9744 Å, b = 3.9744 Å, c = 8.6342 Å
α = 90.00°, β = 90.00°, γ = 120.00°
Sites, in units of the cell vectors:
La 0.0000 0.0000 0.0000
Nd 0.0000 0.0000 0.5000
Be 0.3333 0.6667 0.2554
Be 0.6667 0.3333 0.7446
Si 0.3333 0.6667 0.7445
Si 0.6667 0.3333 0.2555

Principal peaks in the range 2θ = 10–90°, by intensity:
2θ/deg	I (rel.)
33.29	100
25.89	57
45.65	25
20.57	24
57.66	20
49.87	20
63.65	19
76.47	18
50.56	14
70.99	11

Diffraction record for Y2HoFe3Ni6. The powder X-ray diffraction pattern is simulated, not measured: it uses a PBE-relaxed structure and Cu Ka.
Lines closer than 0.1° are merged.

Structural model:
a = 8.5385 Å, b = 8.5385 Å, c = 8.5385 Å
α = 34.13°, β = 34.13°, γ = 34.13°
Sites, in units of the cell vectors:
Y 0.1387 0.1387 0.1387
Y 0.8613 0.8613 0.8613
Ho 0.0000 0.0000 0.0000
Fe 0.3332 0.3332 0.3332
Fe 0.5000 0.5000 0.5000
Fe 0.6668 0.6668 0.6668
Ni 0.0823 0.5818 0.5818
Ni 0.4182 0.4182 0.9177
Ni 0.4182 0.9177 0.4182
Ni 0.5818 0.0823 0.5818
Ni 0.5818 0.5818 0.0823
Ni 0.9177 0.4182 0.4182

Principal peaks in the range 2θ = 10–90°, by intensity:
2θ/deg	I (rel.)
42.53	100
41.80	43
35.84	40
33.22	37
36.30	35
69.01	22
75.97	22
42.33	18
45.14	18
45.87	15

Diffraction record for TaCoB. The powder X-ray diffraction pattern is simulated, not measured: it uses a PBE-relaxed structure and Cu Ka.
Lines closer than 0.1° are merged.

Structural model:
a = 3.2883 Å, b = 16.9771 Å, c = 5.8892 Å
α = 90.00°, β = 90.00°, γ = 90.00°
Sites, in units of the cell vectors:
Ta 0.2500 0.0709 0.0285
Ta 0.2500 0.1252 0.5218
Ta 0.2500 0.2500 0.1442
Ta 0.2500 0.3748 0.5218
Ta 0.2500 0.4291 0.0285
Ta 0.7500 0.5709 0.9715
Ta 0.7500 0.6252 0.4782
Ta 0.7500 0.7500 0.8558
Ta 0.7500 0.8748 0.4782
Ta 0.7500 0.9291 0.9715
Co 0.2500 0.5240 0.6442
Co 0.2500 0.6786 0.1503
Co 0.2500 0.7500 0.5071
Co 0.2500 0.8214 0.1503
Co 0.2500 0.9760 0.6442
Co 0.7500 0.0240 0.3558
Co 0.7500 0.1786 0.8497
Co 0.7500 0.2500 0.4929
Co 0.7500 0.3214 0.8497
Co 0.7500 0.4760 0.3558
B 0.2500 0.2500 0.7319
B 0.2500 0.5485 0.2672
B 0.2500 0.6495 0.7707
B 0.2500 0.8505 0.7707
B 0.2500 0.9515 0.2672
B 0.7500 0.0485 0.7328
B 0.7500 0.1495 0.2293
B 0.7500 0.3505 0.2293
B 0.7500 0.4515 0.7328
B 0.7500 0.7500 0.2681

Principal peaks in the range 2θ = 10–90°, by intensity:
2θ/deg	I (rel.)
41.17	100
44.29	47
30.37	37
27.63	24
45.43	23
31.47	23
55.92	18
46.54	17
69.09	16
47.54	14

Diffraction record for Cs2AgBi3Se6. The powder X-ray diffraction pattern is simulated, not measured: it uses a PBE-relaxed structure and Cu Ka.
Lines closer than 0.1° are merged.

Structural model:
a = 4.3232 Å, b = 4.3232 Å, c = 23.5747 Å
α = 90.08°, β = 90.08°, γ = 59.97°
Sites, in units of the cell vectors:
Cs 0.0000 0.0000 0.0000
Cs 0.9995 0.9995 0.4692
Ag 0.3339 0.3339 0.1388
Bi 0.3338 0.3338 0.8102
Bi 0.6662 0.6662 0.2956
Bi 0.6663 0.6663 0.6549
Se 0.0000 0.0000 0.7323
Se 0.3327 0.3327 0.3691
Se 0.3326 0.3326 0.5912
Se 0.6670 0.6670 0.1030
Se 0.6674 0.6674 0.8739
Se 0.9987 0.9987 0.2288

Principal peaks in the range 2θ = 10–90°, by intensity:
2θ/deg	I (rel.)
28.24	100
41.79	80
30.49	80
26.37	60
42.11	45
24.96	27
38.89	26
22.63	21
51.21	19
48.05	18
____________
-- Response --
Diffraction record for BaSiAg2TeS3. The powder X-ray diffraction pattern is simulated, not measured: it uses a PBE-relaxed structure and Cu Ka.
Lines closer than 0.1° are merged.

Structural model:
a = 6.4219 Å, b = 6.4219 Å, c = 6.4909 Å
α = 114.41°, β = 114.41°, γ = 96.64°
Sites, in units of the cell vectors:
Ba 0.0000 0.0000 0.0000
Si 0.5594 0.5594 0.0700
Ag 0.2776 0.7535 0.5272
Ag 0.7535 0.2776 0.5272
Te 0.1973 0.1973 0.6555
S 0.5021 0.8720 0.0473
S 0.5729 0.5729 0.4109
S 0.8720 0.5021 0.0473

Principal peaks in the range 2θ = 10–90°, by intensity:
2θ/deg	I (rel.)
27.96	100
25.53	24
29.41	22
44.83	21
37.50	21
26.65	20
47.39	19
49.37	18
35.30	17
50.88	16

Diffraction record for LaNdBe2Si2. The powder X-ray diffraction pattern is simulated, not measured: it uses a PBE-relaxed structure and Cu Ka.
Lines closer than 0.1° are merged.

Structural model:
a = 3.9744 Å, b = 3.9744 Å, c = 8.6342 Å
α = 90.00°, β = 90.00°, γ = 120.00°
Sites, in units of the cell vectors:
La 0.0000 0.0000 0.0000
Nd 0.0000 0.0000 0.5000
Be 0.3333 0.6667 0.2554
Be 0.6667 0.3333 0.7446
Si 0.3333 0.6667 0.7445
Si 0.6667 0.3333 0.2555

Principal peaks in the range 2θ = 10–90°, by intensity:
2θ/deg	I (rel.)
33.29	100
25.89	57
45.65	25
20.57	24
57.66	20
49.87	20
63.65	19
76.47	18
50.56	14
70.99	11

Diffraction record for Y2HoFe3Ni6. The powder X-ray diffraction pattern is simulated, not measured: it uses a PBE-relaxed structure and Cu Ka.
Lines closer than 0.1° are merged.

Structural model:
a = 8.5385 Å, b = 8.5385 Å, c = 8.5385 Å
α = 34.13°, β = 34.13°, γ = 34.13°
Sites, in units of the cell vectors:
Y 0.1387 0.1387 0.1387
Y 0.8613 0.8613 0.8613
Ho 0.0000 0.0000 0.0000
Fe 0.3332 0.3332 0.3332
Fe 0.5000 0.5000 0.5000
Fe 0.6668 0.6668 0.6668
Ni 0.0823 0.5818 0.5818
Ni 0.4182 0.4182 0.9177
Ni 0.4182 0.9177 0.4182
Ni 0.5818 0.0823 0.5818
Ni 0.5818 0.5818 0.0823
Ni 0.9177 0.4182 0.4182

Principal peaks in the range 2θ = 10–90°, by intensity:
2θ/deg	I (rel.)
42.53	100
41.80	43
35.84	40
33.22	37
36.30	35
69.01	22
75.97	22
42.33	18
45.14	18
45.87	15

Diffraction record for TaCoB. The powder X-ray diffraction pattern is simulated, not measured: it uses a PBE-relaxed structure and Cu Ka.
Lines closer than 0.1° are merged.

Structural model:
a = 3.2883 Å, b = 16.9771 Å, c = 5.8892 Å
α = 90.00°, β = 90.00°, γ = 90.00°
Sites, in units of the cell vectors:
Ta 0.2500 0.0709 0.0285
Ta 0.2500 0.1252 0.5218
Ta 0.2500 0.2500 0.1442
Ta 0.2500 0.3748 0.5218
Ta 0.2500 0.4291 0.0285
Ta 0.7500 0.5709 0.9715
Ta 0.7500 0.6252 0.4782
Ta 0.7500 0.7500 0.8558
Ta 0.7500 0.8748 0.4782
Ta 0.7500 0.9291 0.9715
Co 0.2500 0.5240 0.6442
Co 0.2500 0.6786 0.1503
Co 0.2500 0.7500 0.5071
Co 0.2500 0.8214 0.1503
Co 0.2500 0.9760 0.6442
Co 0.7500 0.0240 0.3558
Co 0.7500 0.1786 0.8497
Co 0.7500 0.2500 0.4929
Co 0.7500 0.3214 0.8497
Co 0.7500 0.4760 0.3558
B 0.2500 0.2500 0.7319
B 0.2500 0.5485 0.2672
B 0.2500 0.6495 0.7707
B 0.2500 0.8505 0.7707
B 0.2500 0.9515 0.2672
B 0.7500 0.0485 0.7328
B 0.7500 0.1495 0.2293
B 0.7500 0.3505 0.2293
B 0.7500 0.4515 0.7328
B 0.7500 0.7500 0.2681

Principal peaks in the range 2θ = 10–90°, by intensity:
2θ/deg	I (rel.)
41.17	100
44.29	47
30.37	37
27.63	24
45.43	23
31.47	23
55.92	18
46.54	17
69.09	16
47.54	14

Diffraction record for Cs2AgBi3Se6. The powder X-ray diffraction pattern is simulated, not measured: it uses a PBE-relaxed structure and Cu Ka.
Lines closer than 0.1° are merged.

Structural model:
a = 4.3232 Å, b = 4.3232 Å, c = 23.5747 Å
α = 90.08°, β = 90.08°, γ = 59.97°
Sites, in units of the cell vectors:
Cs 0.0000 0.0000 0.0000
Cs 0.9995 0.9995 0.4692
Ag 0.3339 0.3339 0.1388
Bi 0.3338 0.3338 0.8102
Bi 0.6662 0.6662 0.2956
Bi 0.6663 0.6663 0.6549
Se 0.0000 0.0000 0.7323
Se 0.3327 0.3327 0.3691
Se 0.3326 0.3326 0.5912
Se 0.6670 0.6670 0.1030
Se 0.6674 0.6674 0.8739
Se 0.9987 0.9987 0.2288

Principal peaks in the range 2θ = 10–90°, by intensity:
2θ/deg	I (rel.)
28.24	100
41.79	80
30.49	80
26.37	60
42.11	45
24.96	27
38.89	26
22.63	21
51.21	19
48.05	18